[Work order]
Please quote the lines underneath from the one with "12.01 C.upf" to the one with "0.072 0.821" exactly.
[Excerpt]
........
Here is a relaxed NaMnPCO7 crystal from the Materials Project database. Energies are from PBE+U. Values from VASP.

Structure (Quantum ESPRESSO input):
```
&SYSTEM
  ibrav = 0, nat = 44, ntyp = 5
/
ATOMIC_SPECIES
Na 22.99 Na.upf
Mn 54.94 Mn.upf
P 30.97 P.upf
C 12.01 C.upf
O 16.00 O.upf
CELL_PARAMETERS angstrom
-4.204 1.707 6.718
6.493 -3.673 3.215
3.183 8.966 -4.039
ATOMIC_POSITIONS crystal
Na 0.267 0.226 0.246
Na 0.975 0.515 0.245
Na 0.025 0.485 0.755
Na 0.733 0.774 0.754
Mn 0.931 0.180 0.344
Mn 0.444 0.694 0.339
Mn 0.556 0.306 0.661
Mn 0.069 0.820 0.656
P 0.201 0.948 0.430
P 0.697 0.449 0.433
P 0.303 0.551 0.567
P 0.799 0.052 0.570
C 0.775 0.031 0.078
C 0.281 0.525 0.076
C 0.719 0.475 0.924
C 0.225 0.969 0.922
O 0.306 0.046 0.056
O 0.802 0.561 0.057
O 0.422 0.668 0.137
O 0.921 0.175 0.144
O 0.728 0.983 0.175
O 0.236 0.482 0.179
O 0.271 0.828 0.325
O 0.090 0.033 0.331
O 0.786 0.342 0.336
O 0.582 0.525 0.330
O 0.158 0.404 0.423
O 0.570 0.322 0.473
O 0.072 0.821 0.469
O 0.652 0.909 0.429
O 0.348 0.091 0.571
O 0.430 0.678 0.527
O 0.928 0.179 0.531
O 0.842 0.596 0.577
O 0.214 0.658 0.664
O 0.418 0.475 0.670
O 0.729 0.172 0.675
O 0.910 0.967 0.669
O 0.764 0.518 0.821
O 0.272 0.017 0.825
O 0.578 0.332 0.863
O 0.079 0.825 0.856
O 0.694 0.954 0.944
O 0.198 0.439 0.943
```

Summary:
ρ: 2.619 g cm⁻³
MP2020-corrected energy: -7.60 eV/atom
symmetry: No. 2
distance to the lowest polymorph of the same formula: 13 meV/atom
size of the total moment: 3.00 μB per formula unit
calculated formation energy: -2.17 eV per atom

----------

## Ta22W4O67 (PBE with a Hubbard U)

Data for a relaxed Ta22W4O67 crystal.

Computed properties:
Its total DFT energy (no corrections) is -9.345 eV per atom. For the size of the total moment, the calculation gives 0.0 μB per formula unit. The calculation puts the formation enthalpy at 0 K at -288.7 eV/f.u.

Unit cell a=24.433 b=6.196 c=7.753 alpha=90.00 beta=90.00 gamma=82.86
Positions (direct):
Ta 0.311 0.925 0.000
Ta 0.308 0.924 0.500
Ta 0.159 0.938 0.500
Ta 0.157 0.942 0.000
Ta 0.456 0.760 0.999
Ta 0.457 0.761 0.501
Ta 0.615 0.667 0.015
Ta 0.615 0.667 0.486
Ta 0.774 0.580 0.501
Ta 0.774 0.581 0.999
Ta 0.925 0.489 0.500
Ta 0.925 0.491 0.000
Ta 0.074 0.512 0.500
Ta 0.074 0.514 0.000
Ta 0.226 0.420 0.500
Ta 0.387 0.336 0.000
Ta 0.543 0.244 0.503
Ta 0.542 0.243 0.998
Ta 0.841 0.063 0.500
Ta 0.840 0.064 0.000
Ta 0.692 0.078 0.502
Ta 0.692 0.077 0.998
W 0.229 0.418 0.000
W 0.386 0.334 0.500
W 0.000 0.002 0.000
W 0.000 0.001 0.500
O 0.771 0.916 0.498
O 0.771 0.916 0.003
O 0.606 0.985 0.524
O 0.606 0.985 0.977
O 0.878 0.769 0.000
O 0.878 0.769 0.500
O 0.988 0.697 0.500
O 0.988 0.697 0.000
O 0.310 0.926 0.750
O 0.310 0.926 0.250
O 0.691 0.723 0.519
O 0.691 0.724 0.980
O 0.776 0.603 0.250
O 0.780 0.601 0.750
O 0.611 0.684 0.250
O 0.164 0.907 0.750
O 0.164 0.907 0.249
O 0.451 0.742 0.749
O 0.455 0.736 0.250
O 0.932 0.468 0.250
O 0.932 0.468 0.750
O 0.076 0.864 0.000
O 0.076 0.868 0.500
O 0.540 0.608 0.972
O 0.540 0.602 0.526
O 0.367 0.647 0.000
O 0.366 0.640 0.500
O 0.847 0.397 0.001
O 0.847 0.397 0.499
O 0.257 0.688 0.500
O 0.258 0.680 0.000
O 0.744 0.307 0.001
O 0.743 0.307 0.498
O 0.154 0.599 0.500
O 0.155 0.593 0.000
O 0.633 0.357 0.515
O 0.633 0.358 0.985
O 0.462 0.405 0.498
O 0.463 0.412 0.003
O 0.924 0.126 0.000
O 0.924 0.127 0.500
O 0.070 0.530 0.750
O 0.070 0.530 0.250
O 0.546 0.262 0.750
O 0.551 0.268 0.250
O 0.836 0.089 0.750
O 0.836 0.089 0.250
O 0.388 0.320 0.255
O 0.388 0.320 0.745
O 0.223 0.399 0.245
O 0.223 0.399 0.755
O 0.308 0.274 0.500
O 0.307 0.273 0.000
O 0.690 0.072 0.750
O 0.684 0.067 0.250
O 0.013 0.303 0.000
O 0.013 0.303 0.500
O 0.120 0.229 0.000
O 0.122 0.229 0.500
O 0.500 0.003 0.497
O 0.498 0.007 0.003
O 0.391 0.007 0.001
O 0.392 0.007 0.499
O 0.228 0.086 0.000
O 0.228 0.086 0.500
O 0.001 0.000 0.750
O 0.001 0.000 0.250

----------

1 | Below is a relaxed structure of NaLi5Mn2P2C2O14, with properties calculated at the PBE with a Hubbard U level.
........
[Response]
C 12.01 C.upf
O 16.00 O.upf
CELL_PARAMETERS angstrom
-4.204 1.707 6.718
6.493 -3.673 3.215
3.183 8.966 -4.039
ATOMIC_POSITIONS crystal
Na 0.267 0.226 0.246
Na 0.975 0.515 0.245
Na 0.025 0.485 0.755
Na 0.733 0.774 0.754
Mn 0.931 0.180 0.344
Mn 0.444 0.694 0.339
Mn 0.556 0.306 0.661
Mn 0.069 0.820 0.656
P 0.201 0.948 0.430
P 0.697 0.449 0.433
P 0.303 0.551 0.567
P 0.799 0.052 0.570
C 0.775 0.031 0.078
C 0.281 0.525 0.076
C 0.719 0.475 0.924
C 0.225 0.969 0.922
O 0.306 0.046 0.056
O 0.802 0.561 0.057
O 0.422 0.668 0.137
O 0.921 0.175 0.144
O 0.728 0.983 0.175
O 0.236 0.482 0.179
O 0.271 0.828 0.325
O 0.090 0.033 0.331
O 0.786 0.342 0.336
O 0.582 0.525 0.330
O 0.158 0.404 0.423
O 0.570 0.322 0.473
O 0.072 0.821 0.469